# Wanted
Your job: find the line further below that holds "0.832 0.000", then return that line and all lines after it there.

# Contents
~~~
Entry 1:
DFT (PBE-GGA) results for a relaxed structure of Y3Ru5.

## Properties
Space group: P6_3/mcm (193)
Calculated total energy, eV/atom: -8.079
Calculated formation energy, eV per atom: 0.142
ΔE to the lowest computed polymorph, eV/atom: 0.1652

The structure in POSCAR format:
```
Y3Ru5
1.0
8.734 0.000 0.000
4.367 7.564 0.000
0.000 0.000 4.890
Ru Y
10 6
direct
0.000 0.168 0.750 Ru
0.333 0.333 0.000 Ru
0.333 0.333 0.500 Ru
0.832 0.000 0.750 Ru
0.667 0.667 0.500 Ru
0.667 0.667 0.000 Ru
0.000 0.832 0.250 Ru
0.168 0.832 0.750 Ru
0.832 0.168 0.250 Ru
0.168 0.000 0.250 Ru
0.000 0.625 0.750 Y
0.625 0.000 0.250 Y
0.000 0.375 0.250 Y
0.375 0.000 0.750 Y
0.375 0.625 0.250 Y
0.625 0.375 0.750 Y
```

***

Entry 2:
DFT (PBE-GGA) results for a relaxed structure of BaNaIn2Cu.

## Properties
Space group: P4/mmm (123)
Calculated total energy, eV/atom: -2.675
Calculated formation energy, eV per atom: -0.112

The structure in POSCAR format:
```
BaNaIn2Cu
1.0
-1.648 4.863 -0.590
-2.918 -1.475 -4.003
-4.162 -0.998 3.401
Ba Na Cu In
1 1 1 2
direct
0.500 0.500 0.500 Ba
0.000 0.000 0.500 Na
0.000 0.000 0.000 Cu
0.000 0.500 0.000 In
0.500 0.000 0.000 In
```

***

Entry 3:
DFT (PBE-GGA) results for a relaxed structure of Pm6Y2Er5.

## Properties
Space group: Pbam (55)
Calculated total energy, eV/atom: -4.842
Calculated formation energy, eV per atom: 0.100

The structure in POSCAR format:
```
Pm6Y2Er5
1.0
-3.016 -1.171 -1.604
3.993 -10.995 0.521
-8.811 -2.334 18.270
Pm Er Y
12 10 4
direct
0.000 0.583 0.134 Pm
0.500 0.173 0.632 Pm
0.000 0.559 0.420 Pm
0.500 0.673 0.868 Pm
0.500 0.327 0.132 Pm
0.000 0.417 0.866 Pm
0.500 0.827 0.368 Pm
0.000 0.441 0.580 Pm
0.000 0.941 0.920 Pm
0.000 0.083 0.366 Pm
0.000 0.059 0.080 Pm
0.000 0.917 0.634 Pm
0.500 0.596 0.275 Er
0.500 0.500 0.000 Er
0.500 0.096 0.225 Er
0.500 0.000 0.500 Er
0.500 0.801 0.055 Er
0.500 0.404 0.725 Er
0.500 0.301 0.445 Er
0.500 0.699 0.555 Er
0.500 0.199 0.945 Er
0.500 0.904 0.775 Er
0.000 0.664 0.711 Y
0.000 0.836 0.211 Y
0.000 0.164 0.789 Y
0.000 0.336 0.289 Y
```

***

Entry 4:
DFT (PBE-GGA) results for a relaxed structure of Cu3O2F2.

## Properties
Space group: P2_1/c (14)
Formation energy from raw total energies, kJ/mol of formula units: -641
Calculated total energy, eV/atom: -4.656
ΔE to the lowest computed polymorph, eV/atom: 0.0000

The structure in POSCAR format:
```
Cu3O2F2
1.0
-5.306 1.870 -2.332
-2.601 -2.514 3.903
-0.991 3.028 4.683
O F Cu
4 4 6
direct
0.624 0.471 0.320 O
0.376 0.529 0.680 O
0.876 0.971 0.320 O
0.124 0.029 0.680 O
0.616 0.878 0.779 F
0.116 0.622 0.221 F
0.384 0.122 0.221 F
0.884 0.378 0.779 F
0.380 0.250 0.535 Cu
0.620 0.750 0.465 Cu
0.880 0.250 0.465 Cu
0.500 0.500 0.000 Cu
0.000 0.000 0.000 Cu
0.120 0.750 0.535 Cu
```

***

Entry 5:
DFT (PBE-GGA) results for a relaxed structure of K2NiSe.

## Properties
Space group: Imm2 (44)
Formation energy from raw total energies, kJ/mol of formula units: -169
Calculated total energy, eV/atom: -3.304

The structure in POSCAR format:
```
K2NiSe
1.0
-2.070 1.566 -5.357
-5.785 -1.403 -0.025
2.657 2.638 4.628
K Ni Se
2 1 1
direct
0.037 0.037 0.000 K
0.217 0.717 0.500 K
0.404 0.404 0.000 Ni
0.842 0.342 0.500 Se
```

***

Entry 6:
DFT (PBE-GGA) results for a relaxed structure of BaScBeNi2.

## Properties
Space group: P4/mmm (123)
Calculated total energy, eV/atom: -4.341
Calculated formation energy, eV per atom: 0.368

The structure in POSCAR format:
```
BaScBeNi2
1.0
4.459 0.000 0.000
0.000 4.718 0.000
0.000 0.000 4.459
Sc Ni Be Ba
1 2 1 1
direct
0.000 0.500 0.000 Sc
0.500 0.000 0.000 Ni
0.000 0.000 0.500 Ni
0.000 0.000 0.000 Be
0.500 0.500 0.500 Ba
```

----------

1.
Entry from Alexandria via LeMat-Bulk: an optimized crystal structure of Dy4YErSc2 (PBE).

- volume (Å³ per atom) = 30.91
- E_form (meV/atom) = 446

abc: 9.2722 9.2723 11.4868
angles: 128.29 128.29 88.56
Last column: nearest neighbours and their distance in Å.
Fractional coordinates of all 16 atoms:
~~~

# Result
0.832 0.000 0.750 Ru
0.667 0.667 0.500 Ru
0.667 0.667 0.000 Ru
0.000 0.832 0.250 Ru
0.168 0.832 0.750 Ru
0.832 0.168 0.250 Ru
0.168 0.000 0.250 Ru
0.000 0.625 0.750 Y
0.625 0.000 0.250 Y
0.000 0.375 0.250 Y
0.375 0.000 0.750 Y
0.375 0.625 0.250 Y
0.625 0.375 0.750 Y
```

***

Entry 2:
DFT (PBE-GGA) results for a relaxed structure of BaNaIn2Cu.

## Properties
Space group: P4/mmm (123)
Calculated total energy, eV/atom: -2.675
Calculated formation energy, eV per atom: -0.112

The structure in POSCAR format:
```
BaNaIn2Cu
1.0
-1.648 4.863 -0.590
-2.918 -1.475 -4.003
-4.162 -0.998 3.401
Ba Na Cu In
1 1 1 2
direct
0.500 0.500 0.500 Ba
0.000 0.000 0.500 Na
0.000 0.000 0.000 Cu
0.000 0.500 0.000 In
0.500 0.000 0.000 In
```

***

Entry 3:
DFT (PBE-GGA) results for a relaxed structure of Pm6Y2Er5.

## Properties
Space group: Pbam (55)
Calculated total energy, eV/atom: -4.842
Calculated formation energy, eV per atom: 0.100

The structure in POSCAR format:
```
Pm6Y2Er5
1.0
-3.016 -1.171 -1.604
3.993 -10.995 0.521
-8.811 -2.334 18.270
Pm Er Y
12 10 4
direct
0.000 0.583 0.134 Pm
0.500 0.173 0.632 Pm
0.000 0.559 0.420 Pm
0.500 0.673 0.868 Pm
0.500 0.327 0.132 Pm
0.000 0.417 0.866 Pm
0.500 0.827 0.368 Pm
0.000 0.441 0.580 Pm
0.000 0.941 0.920 Pm
0.000 0.083 0.366 Pm
0.000 0.059 0.080 Pm
0.000 0.917 0.634 Pm
0.500 0.596 0.275 Er
0.500 0.500 0.000 Er
0.500 0.096 0.225 Er
0.500 0.000 0.500 Er
0.500 0.801 0.055 Er
0.500 0.404 0.725 Er
0.500 0.301 0.445 Er
0.500 0.699 0.555 Er
0.500 0.199 0.945 Er
0.500 0.904 0.775 Er
0.000 0.664 0.711 Y
0.000 0.836 0.211 Y
0.000 0.164 0.789 Y
0.000 0.336 0.289 Y
```

***

Entry 4:
DFT (PBE-GGA) results for a relaxed structure of Cu3O2F2.

## Properties
Space group: P2_1/c (14)
Formation energy from raw total energies, kJ/mol of formula units: -641
Calculated total energy, eV/atom: -4.656
ΔE to the lowest computed polymorph, eV/atom: 0.0000

The structure in POSCAR format:
```
Cu3O2F2
1.0
-5.306 1.870 -2.332
-2.601 -2.514 3.903
-0.991 3.028 4.683
O F Cu
4 4 6
direct
0.624 0.471 0.320 O
0.376 0.529 0.680 O
0.876 0.971 0.320 O
0.124 0.029 0.680 O
0.616 0.878 0.779 F
0.116 0.622 0.221 F
0.384 0.122 0.221 F
0.884 0.378 0.779 F
0.380 0.250 0.535 Cu
0.620 0.750 0.465 Cu
0.880 0.250 0.465 Cu
0.500 0.500 0.000 Cu
0.000 0.000 0.000 Cu
0.120 0.750 0.535 Cu
```

***

Entry 5:
DFT (PBE-GGA) results for a relaxed structure of K2NiSe.

## Properties
Space group: Imm2 (44)
Formation energy from raw total energies, kJ/mol of formula units: -169
Calculated total energy, eV/atom: -3.304

The structure in POSCAR format:
```
K2NiSe
1.0
-2.070 1.566 -5.357
-5.785 -1.403 -0.025
2.657 2.638 4.628
K Ni Se
2 1 1
direct
0.037 0.037 0.000 K
0.217 0.717 0.500 K
0.404 0.404 0.000 Ni
0.842 0.342 0.500 Se
```

***

Entry 6:
DFT (PBE-GGA) results for a relaxed structure of BaScBeNi2.

## Properties
Space group: P4/mmm (123)
Calculated total energy, eV/atom: -4.341
Calculated formation energy, eV per atom: 0.368

The structure in POSCAR format:
```
BaScBeNi2
1.0
4.459 0.000 0.000
0.000 4.718 0.000
0.000 0.000 4.459
Sc Ni Be Ba
1 2 1 1
direct
0.000 0.500 0.000 Sc
0.500 0.000 0.000 Ni
0.000 0.000 0.500 Ni
0.000 0.000 0.000 Be
0.500 0.500 0.500 Ba
```

----------

1.
Entry from Alexandria via LeMat-Bulk: an optimized crystal structure of Dy4YErSc2 (PBE).

- volume (Å³ per atom) = 30.91
- E_form (meV/atom) = 446

abc: 9.2722 9.2723 11.4868
angles: 128.29 128.29 88.56
Last column: nearest neighbours and their distance in Å.
Fractional coordinates of all 16 atoms: